Monday, August 12, 2013

Hoosier Hoedown

Enigma vs Cakti 8-13

I don't know how to say it other than we came out flat footed and arrogant to start this game. We had the majority of our roster this weekend (22 of 27 guys) but could not put together a good first game. We under estimated our opponents who most definitely out-played us. Sloppy turns and a lack of hustle prevented us from putting up a decent score. This game left a bitter taste until the last game of the weekend. Notable play: Rapsheet's layout score in the endzone.

Enigma vs KFC 13-8

Maybe we just needed a game to wake up, but against KFC we were clicking on all cylinders. We had many less mistakes then the Cakti game and capitalized on KFC's turns. This game was heated at times, but we executed on offense and D did their job getting breaks. Notable play: Ames' layout D.

Enigma vs Jurassic Shark 13-6

Shark seemed to be suffering from some roster turnover and even tho we had a handful of tight points, our D line spent a lot time on the field in this game.

Enigma vs Brickyard 9-13

The middle two games of the day would have set us up well for a good game against brickyard, but after what ended up being close to a 2 hour bye we were back to our round 1 selves. Brickyard scored their first O point then broke us 2 or 3 times before we could clear our heads and get back on track. We defaulted to making the same mental mistakes and miscues that killed us in the Cakti game. We rallied a few breaks of our own to come within 1 down 8-9, but Indy's new club team closed the game out well.

After a long day of ultimate ending nearly around 6 pm, a combination of the pool followed by large Margaritas at Texas Roadhouse seemed like the only viable way to prepare for Day 2 of this lovely tournament. [Manly challenge: peach margaritias. Oh yea. Throw that kicker shot in to show everyone how much more of a man you are]

Enigma vs Pocket City Approach 13-10

We were determined to start off Day 2 better than Day 1, but this game was also closer than we would have liked. O line and D line both rolled the first half and then it felt like we slipped the clutch into neutral. Before we knew it they had broken us multiple times to bring the game within 1. From there we engaged 5th and thru the metal to the floor, but if there is one thing to take away from this weekend it is getting your mind right for each and every point. Just becauase we are up or down by a lot doesn't mean we are in the clear or out of the game. Keep your eyes on the prize and these rounds will go quicker in the future.

Enigma vs Brick City 13-0

Brick City looked like they had some athletes but could be low on numbers, but we didn't want to underestimate a team again (the way we did with Cakti). So we came out strong and executed on both sides of the field.

Enigma vs Cakti 13-8

It was time for revenge. Because Shark and Cakti had played today already, they decided to have us play Cakti rather than INFamous. We came out strong and made some big plays in the game. Weyers was all over the place on D (would you expect anything else) and Travis was open on every in cut. O line did have some errors late in this game as well, but D line prevailed to let Enigma end up on top.

-- These crystal structures were left in the entry by mistake --
Computed PXRD pattern
Compound: InFeCoO4
Radiation: Cu Kα
Structure: a PBE+U-relaxed structure

Lattice parameters (Å, degrees): 6.2356 6.2356 6.2356 120.88 119.20 89.94
Sites, in units of the cell vectors:
In: 0.0000 0.0000 0.0000
In: 0.5000 0.0000 0.5000
Fe: 0.5000 0.0000 0.0000
Fe: 0.5000 0.5000 0.5000
Co: 0.1258 0.3758 0.7500
Co: 0.8742 0.6242 0.2500
O: 0.2661 0.2584 0.4924
O: 0.2661 0.7737 0.0076
O: 0.2747 0.2486 0.0261
O: 0.2776 0.7514 0.5261
O: 0.7224 0.2486 0.4739
O: 0.7253 0.7514 0.9739
O: 0.7339 0.2263 0.9924
O: 0.7339 0.7416 0.5077

Largest 8 diffraction maxima, sorted by position, 5° ≤ 2θ ≤ 70°:
2theta	d/Å	intensity
17.57	5.047	52.6
28.64	3.117	23.6
33.49	2.675	100.0
33.78	2.654	49.5
33.98	2.639	38.4
40.95	2.204	51.3
54.36	1.688	25.6
59.29	1.559	58.6


Computed PXRD pattern
Compound: CaV2P2H8O14
Radiation: Cu Kα
Structure: a PBE+U-relaxed structure

Lattice parameters (Å, degrees): 6.4230 6.4565 6.7510 92.98 109.06 90.12
Sites, in units of the cell vectors:
Ca: 0.0000 0.0000 0.0000
V: 0.0626 0.2965 0.5632
V: 0.4930 0.7913 0.3901
P: 0.0230 0.7981 0.4903
P: 0.5240 0.2965 0.4697
H: 0.0236 0.4295 0.9359
H: 0.2679 0.3732 0.0606
H: 0.2883 0.7009 0.8821
H: 0.4521 0.8929 0.9718
H: 0.5385 0.1736 0.8480
H: 0.6081 0.1546 0.1013
H: 0.7471 0.6055 0.9947
H: 0.9880 0.6425 0.1450
O: 0.0601 0.9922 0.6451
O: 0.1007 0.6081 0.6240
O: 0.1407 0.3244 0.9362
O: 0.1586 0.8163 0.3358
O: 0.3502 0.7958 0.0088
O: 0.3951 0.2871 0.6296
O: 0.4475 0.4787 0.3217
O: 0.4771 0.0981 0.3186
O: 0.5790 0.8069 0.6462
O: 0.6288 0.0957 0.9717
O: 0.7691 0.3157 0.6043
O: 0.7832 0.7755 0.3422
O: 0.8969 0.6267 0.9940
O: 0.9951 0.2537 0.3065

Largest 8 diffraction maxima, sorted by position, 5° ≤ 2θ ≤ 70°:
2theta	d/Å	intensity
13.90	6.371	100.0
20.13	4.410	24.6
27.68	3.223	39.2
28.01	3.185	28.9
28.13	3.172	35.3
29.43	3.035	51.7
30.37	2.943	40.4
31.80	2.814	28.7


Computed PXRD pattern
Compound: AlV2O4
Radiation: Cu Kα
Structure: a PBE+U-relaxed structure

Lattice parameters (Å, degrees): 10.3848 10.3848 10.3848 32.66 32.66 32.66
Sites, in units of the cell vectors:
Al: 0.1839 0.1839 0.1839
Al: 0.3073 0.3073 0.3073
Al: 0.6927 0.6927 0.6927
Al: 0.8161 0.8161 0.8161
V: 0.0000 0.0000 0.0000
V: 0.2671 0.2671 0.7186
V: 0.2671 0.7186 0.2671
V: 0.2814 0.7329 0.7329
V: 0.5000 0.5000 0.5000
V: 0.7186 0.2671 0.2671
V: 0.7329 0.2814 0.7329
V: 0.7329 0.7329 0.2814
O: 0.1168 0.6308 0.6308
O: 0.1202 0.1202 0.6221
O: 0.1202 0.6221 0.1202
O: 0.1222 0.1222 0.1222
O: 0.3691 0.3691 0.3691
O: 0.3692 0.3692 0.8832
O: 0.3692 0.8832 0.3692
O: 0.3779 0.8798 0.8798
O: 0.6221 0.1202 0.1202
O: 0.6308 0.1168 0.6308
O: 0.6308 0.6308 0.1168
O: 0.6309 0.6309 0.6309
O: 0.8778 0.8778 0.8778
O: 0.8798 0.3779 0.8798
O: 0.8798 0.8798 0.3779
O: 0.8832 0.3692 0.3692

Largest 8 diffraction maxima, sorted by position, 5° ≤ 2θ ≤ 70°:
2theta	d/Å	intensity
18.55	4.783	50.2
35.25	2.546	47.5
35.78	2.510	94.4
36.04	2.492	43.1
43.41	2.085	100.0
57.83	1.594	23.8
62.38	1.489	53.0
63.75	1.460	50.2


Computed PXRD pattern

All in all it was a good weekend with the premier club team from Dayton, OH. I'm glad to be back in the swing of club, although my body is a couple of days behind me. Time to ice, dueces!